Monday, May 1, 2006

Essentials of Patentable Invention

Author: Hariharan Raviraj

This article is presented focusing on some of the essential conditions of Patentable Invention. The idea is to enrich the knowledge of young inventors as regards to what are the vital things they should look into in their inventions, before applying for patents. In order to make sure that an invention is patentable, inventors should be aware of the fact that their inventions meet certain prerequisites. Moreover, it would be wise and is advisable to do a self-examination of their inventions whether it qualifies for getting a patent. This will avoid to a great extent disqualification and disappointment at a later stage. This paper is written aimed at fulfilling this objective.  

Can a TRIZ software Help You Inventing?

Author: Umakant Mishra

A software on TRIZ and/or Innovation can certainly supplement human brain and memory in order to speed up an innovation job. There are various TRIZ and Innovation software available in market. Some are too complex to use, some deal with only limited number of TRIZ techniques and some are having good features of innovation without much emphasis on TRIZ. An obvious task remains to evaluate them and find which software can help you best in inventing.

This article does not recommend or reject any TRIZ software per se. It only describes the expected features of a good TRIZ software and lays out the parameters of evaluating TRIZ software. The objective of this article is to help the TRIZ users understand what should they expect from a TRIZ software and how to choose a software that is really useful to solve inventive problems.

Keywords: TRIZ Software, Innovation, Inventive Problem Solving, Invention, Software Patents, Mind mapping, TRIZ tools, Invention Software, Software Evaluation, Automated invention, TRIZ diagrams, Computer based innovation,

Umakant Mishra, Can a TRIZ Software Help You Inventing? (May 1, 2014). Available at SSRN:

Evolution of User Interfaces for the Visually Impaired- Part- 1

Author: Umakant Mishra
Physically or mentally challenged people cannot use a computer in the same way a normal people can. For example, a person with disability in hands cannot use a standard keyboard or mouse efficiently. People having hearing problem, visual challenge etc. cannot interact with a computer like a normal person. So it is necessary to specially design the computers, interfacing devices and software interfaces, which can be used by the physically challenged people.

Next to the piece, the page also holds records of molecules >
Computed, not measured: a structure of composition C44H43CsFGeN7O4SSi, with ωB97M-V/def2-TZVPD.

## Properties
Kohn-Sham gap in eV: 7.40

The geometry in ORCA input format:
```
! wB97M-V def2-TZVPD RIJCOSX def2/J DEFGRID3
* xyz 0 1
Cs -0.41654 -0.92157 -0.37275
C 0.48239 -0.01294 4.44626
Si -1.30998 0.35530 3.98389
C -2.28237 0.87958 5.50154
C -2.10941 -1.21440 3.36530
N -1.25653 1.60322 2.73123
C -0.23213 2.56419 2.78310
C 0.07855 3.25923 3.95315
C 1.08529 4.20897 3.98925
C 1.80470 4.51104 2.84482
C 1.52352 3.84203 1.66516
C 0.53235 2.88395 1.66244
F 0.29888 2.20535 0.50185
H 0.63285 -1.08625 4.56772
H 0.76615 0.46080 5.38289
H 1.17407 0.34022 3.67933
H -2.18507 0.11012 6.26944
H -3.33932 0.96589 5.25341
H -1.95487 1.81689 5.94532
H -2.18322 -1.89833 4.21380
H -1.53912 -1.71909 2.58696
H -3.11054 -1.05714 2.97440
H -0.50305 3.04814 4.83749
H 1.29746 4.72793 4.91291
H 2.57965 5.26464 2.86578
H 2.05859 4.04820 0.74868
O -4.00149 -0.79922 -7.76522
C -2.70285 -0.46620 -7.85896
O -2.22307 -0.25686 -8.94422
C -1.86833 -0.42959 -6.61588
C -0.60486 0.14906 -6.73647
C 0.24594 0.20492 -5.65192
C -0.14556 -0.32930 -4.42130
C -1.40143 -0.92050 -4.29151
C -2.26046 -0.95728 -5.38563
N 0.67126 -0.18393 -3.28409
C 1.90357 -0.46598 -3.35830
C 2.84300 -0.20434 -2.23842
C 4.18220 -0.55478 -2.37811
C 5.06058 -0.25588 -1.35151
C 4.56960 0.38874 -0.22866
C 3.21476 0.69127 -0.17938
N 2.35829 0.40354 -1.14674
H -4.39426 -0.80990 -6.86608
H -0.30612 0.54641 -7.69557
H 1.20877 0.69324 -5.73684
H -1.70163 -1.34415 -3.33869
H -3.21147 -1.46046 -5.28486
H 2.34920 -0.90977 -4.25757
H 4.52244 -1.04754 -3.27796
H 6.10688 -0.51468 -1.42976
H 5.21759 0.65287 0.59389
H 2.79788 1.19926 0.68268
N -6.06217 -0.10344 -5.25955
C -5.57082 -0.62664 -4.05248
C -5.86248 -1.93064 -3.66076
C -5.22617 -2.48325 -2.56520
C -4.27052 -1.75099 -1.87125
C -4.00611 -0.44533 -2.24414
C -4.67184 0.12466 -3.31027
S -3.37100 -2.53610 -0.56156
O -4.25267 -3.52041 0.00649
O -2.93947 -1.44727 0.31437
N -2.12496 -3.07628 -1.38621
C -1.13532 -3.73740 -0.74718
N 0.00489 -3.90906 -1.45853
C 1.00214 -4.52752 -0.85077
C 0.94223 -4.96913 0.45928
C -0.24566 -4.69704 1.12294
N -1.26536 -4.09075 0.55456
H -6.90033 -0.54348 -5.61192
H -6.13795 0.90494 -5.27850
H -6.57431 -2.51760 -4.22862
H -5.43929 -3.49268 -2.24552
H -3.21278 0.12700 -1.78160
H -4.43077 1.13507 -3.61929
H 1.90505 -4.66630 -1.43906
H 1.76826 -5.47277 0.93818
H -0.36468 -4.97348 2.16604
Ge -2.53137 1.82416 1.37128
C -4.28234 1.40568 2.08799
C -5.14197 0.50852 1.46709
C -6.40541 0.26964 1.98773
C -6.82146 0.92953 3.13173
C -5.97704 1.83535 3.75302
C -4.71682 2.07316 3.23139
C -2.45758 3.70044 0.85336
C -2.35932 4.02380 -0.49655
C -2.30068 5.34558 -0.91097
C -2.33122 6.36290 0.02835
C -2.42166 6.05689 1.37756
C -2.48561 4.73564 1.78439
H -2.07752 1.05340 0.13837
H -4.81673 -0.02989 0.59004
H -7.05640 -0.44333 1.49990
H -7.80378 0.73923 3.54350
H -6.30086 2.35478 4.64515
H -4.06283 2.78079 3.72723
H -2.31285 3.22899 -1.23475
H -2.22295 5.58112 -1.96445

There are many special devices like mouse, keyboard, pointers, and touch screens etc. to assist the visually challenged users. It is a challenge for the inventors and manufacturers to build such devices. It is difficult for the inventors to visualize the difficulties of a visually impaired person and invent special devices to assist them. Similarly it is challenging for the manufacturers to build these special equipments, as they may not find enough customers for a commercial viability.

This article analyses the types of visual disabilities, different assistive technologies for different visual disabilities, guidelines for developing user interfaces for the visually impaired, software products available for assisting the visually impaired, and Inventions made on such adaptive technologies. The objective is to analyze and explore various assistive technology for the visually impaired users, and throw some light on the scope for future improvements on such interfaces.

Keywords: TRIZ, Innovation, Inventive Problem Solving, Invention, Software Patents, GUI, Software inventions, Graphical User Interface, GUI design, GUI elements, assistive technologies, adaptive interfaces, speech recognition, VRS, Visual disabilities, Karaoke, speech synthesis, Braille,